Excerpt =
........
(1)
K2Cd3Te4 | PBE-GGA | relaxed

abc: 15.428 11.610 7.450
angles: 90.00 90.00 90.00
Atoms (fractional coordinates):
K1 0.000 0.000 0.000
K2 0.000 0.500 0.000
K3 0.034 0.250 0.479
K4 0.466 0.750 0.979
K5 0.500 0.000 0.500
K6 0.500 0.500 0.500
K7 0.534 0.250 0.021
K8 0.966 0.750 0.521
Cd1 0.202 0.750 0.230
Cd2 0.244 0.098 0.160
Cd3 0.244 0.402 0.160
Cd4 0.256 0.598 0.660
Cd5 0.256 0.902 0.660
Cd6 0.298 0.250 0.730
Cd7 0.702 0.750 0.270
Cd8 0.744 0.098 0.340
Cd9 0.744 0.402 0.340
Cd10 0.756 0.598 0.840
Cd11 0.756 0.902 0.840
Cd12 0.798 0.250 0.770
Te1 0.134 0.533 0.386
Te2 0.134 0.967 0.386
Te3 0.136 0.250 0.925
Te4 0.145 0.750 0.869
Te5 0.355 0.250 0.369
Te6 0.364 0.750 0.425
Te7 0.366 0.033 0.886
Te8 0.366 0.467 0.886
Te9 0.634 0.533 0.114
Te10 0.634 0.967 0.114
Te11 0.636 0.250 0.575
Te12 0.645 0.750 0.631
Te13 0.855 0.250 0.131
Te14 0.864 0.750 0.075
Te15 0.866 0.033 0.614
Te16 0.866 0.467 0.614

Summary:
Formation energy from the elements = -0.87 eV/atom
Crystal system = orthorhombic
Final energy = -94.640 eV/cell

(2)
MgCo4As4S4 | PBE-GGA | relaxed

abc: 5.794 5.808 6.148
angles: 89.58 87.45 84.19
Atoms (fractional coordinates):
Mg1 0.000 0.000 0.000
Co1 0.431 0.122 0.842
Co2 0.459 0.615 0.372
Co3 0.914 0.609 0.772
Co4 0.935 0.123 0.420
As1 0.314 0.248 0.485
As2 0.328 0.746 0.734
As3 0.558 0.984 0.235
As4 0.570 0.485 0.976
S1 0.109 0.783 0.310
S2 0.128 0.369 0.971
S3 0.767 0.973 0.701
S4 0.796 0.477 0.478

Summary:
Polymorph energy (0 for the lowest one) = 76 meV per atom
Formation energy from the elements = -0.36 eV/atom
Crystal system = triclinic
Final energy = -67.879 eV/cell

(3)
Ti3H3Au | PBE-GGA | relaxed

abc: 5.302 5.302 5.302
angles: 90.00 90.00 90.00
Atoms (fractional coordinates):
Ti1 0.000 0.250 0.500
Ti2 0.000 0.750 0.500
Ti3 0.250 0.500 0.000
Ti4 0.500 0.000 0.250
Ti5 0.500 0.000 0.750
Ti6 0.750 0.500 0.000
H1 0.000 0.500 0.250
H2 0.000 0.500 0.750
H3 0.250 0.000 0.500
H4 0.500 0.250 0.000
H5 0.500 0.750 0.000
H6 0.750 0.000 0.500
Au1 0.000 0.000 0.000
Au2 0.500 0.500 0.500

Summary:
Formation energy from the elements = -0.45 eV/atom
Crystal system = cubic
Final energy = -80.539 eV/cell

Among the records above, which one has the lowest final energy?
K2Cd3Te4

~~~~~

! NaCaMn2P3H2O12 (PBE+U, optimized geometry); values from VASP
! Total energy = -6.975 eV/atom
! SG = C2/c (15)
! Calculated volume = 11.6 Å³/atom
&SYSTEM
  ibrav = 0, nat = 42, ntyp = 6
/
ATOMIC_SPECIES
O 16.00 O.upf
H 1.01 H.upf
Na 22.99 Na.upf
P 30.97 P.upf
Mn 54.94 Mn.upf
Ca 40.08 Ca.upf
CELL_PARAMETERS angstrom
6.287 6.333 0.000
-6.287 6.333 0.000
0.000 2.904 6.139
ATOMIC_POSITIONS crystal
O 0.268 0.426 0.841
O 0.715 0.481 0.759
O 0.388 0.046 0.192
O 0.849 0.852 0.096
O 0.283 0.807 0.044
O 0.672 0.009 0.402
O 0.574 0.732 0.659
O 0.151 0.148 0.904
O 0.148 0.151 0.404
O 0.426 0.268 0.341
O 0.732 0.574 0.159
O 0.328 0.991 0.598
O 0.285 0.519 0.241
O 0.193 0.717 0.456
O 0.612 0.954 0.808
O 0.807 0.283 0.544
O 0.954 0.612 0.308
O 0.009 0.672 0.902
O 0.852 0.849 0.596
O 0.519 0.285 0.741
O 0.991 0.328 0.098
O 0.046 0.388 0.692
O 0.717 0.193 0.956
O 0.481 0.715 0.259
H 0.627 0.627 0.197
H 0.373 0.373 0.303
H 0.627 0.627 0.697
H 0.373 0.373 0.803
Na 0.955 0.045 0.750
Na 0.045 0.955 0.250
P 0.318 0.109 0.385
P 0.109 0.318 0.885
P 0.689 0.311 0.750
P 0.311 0.689 0.250
P 0.682 0.891 0.615
P 0.891 0.682 0.115
Mn 0.055 0.381 0.361
Mn 0.381 0.055 0.861
Mn 0.619 0.945 0.139
Mn 0.945 0.619 0.639
Ca 0.713 0.287 0.250
Ca 0.287 0.713 0.750
........

Activity =
The reader should find "angles: 89.58" and "0.241" in the data above, and quote these two lines and those between.

Completed =
angles: 89.58 87.45 84.19
Atoms (fractional coordinates):
Mg1 0.000 0.000 0.000
Co1 0.431 0.122 0.842
Co2 0.459 0.615 0.372
Co3 0.914 0.609 0.772
Co4 0.935 0.123 0.420
As1 0.314 0.248 0.485
As2 0.328 0.746 0.734
As3 0.558 0.984 0.235
As4 0.570 0.485 0.976
S1 0.109 0.783 0.310
S2 0.128 0.369 0.971
S3 0.767 0.973 0.701
S4 0.796 0.477 0.478

Summary:
Polymorph energy (0 for the lowest one) = 76 meV per atom
Formation energy from the elements = -0.36 eV/atom
Crystal system = triclinic
Final energy = -67.879 eV/cell

(3)
Ti3H3Au | PBE-GGA | relaxed

abc: 5.302 5.302 5.302
angles: 90.00 90.00 90.00
Atoms (fractional coordinates):
Ti1 0.000 0.250 0.500
Ti2 0.000 0.750 0.500
Ti3 0.250 0.500 0.000
Ti4 0.500 0.000 0.250
Ti5 0.500 0.000 0.750
Ti6 0.750 0.500 0.000
H1 0.000 0.500 0.250
H2 0.000 0.500 0.750
H3 0.250 0.000 0.500
H4 0.500 0.250 0.000
H5 0.500 0.750 0.000
H6 0.750 0.000 0.500
Au1 0.000 0.000 0.000
Au2 0.500 0.500 0.500

Summary:
Formation energy from the elements = -0.45 eV/atom
Crystal system = cubic
Final energy = -80.539 eV/cell

Among the records above, which one has the lowest final energy?
K2Cd3Te4

~~~~~

! NaCaMn2P3H2O12 (PBE+U, optimized geometry); values from VASP
! Total energy = -6.975 eV/atom
! SG = C2/c (15)
! Calculated volume = 11.6 Å³/atom
&SYSTEM
  ibrav = 0, nat = 42, ntyp = 6
/
ATOMIC_SPECIES
O 16.00 O.upf
H 1.01 H.upf
Na 22.99 Na.upf
P 30.97 P.upf
Mn 54.94 Mn.upf
Ca 40.08 Ca.upf
CELL_PARAMETERS angstrom
6.287 6.333 0.000
-6.287 6.333 0.000
0.000 2.904 6.139
ATOMIC_POSITIONS crystal
O 0.268 0.426 0.841
O 0.715 0.481 0.759
O 0.388 0.046 0.192
O 0.849 0.852 0.096
O 0.283 0.807 0.044
O 0.672 0.009 0.402
O 0.574 0.732 0.659
O 0.151 0.148 0.904
O 0.148 0.151 0.404
O 0.426 0.268 0.341
O 0.732 0.574 0.159
O 0.328 0.991 0.598
O 0.285 0.519 0.241